A lottery is a game of chance where entrants pay money and names are drawn to win prizes. Some people use a formula when picking their numbers, while others go with random choices. Regardless of how a person selects their numbers, there’s no guarantee that they’ll win. Despite this, there’s no denying that the lottery can be a fun way to spend time and make some money. Unlike other types of gambling, however, lotteries have a long history and are legal in most countries.
The origins of the lottery are uncertain, but historians believe that they date back to ancient China. In fact, the first recorded signs of a lottery are keno slips from the Chinese Han dynasty between 205 and 187 BC. These were used to fund large government projects, such as the Great Wall of China. Later, the Romans began holding games of chance, including a lottery that awarded military honors to soldiers. The lottery also spread to England and America, where it helped finance the settlement of the New World. Lotteries were a popular source of revenue for colonists, despite Protestant proscriptions against gambling. In fact, the very first church buildings in America were funded by lotteries, and many of the country’s most elite universities owe their beginnings to lottery money.
In the US, there are currently 43 states that offer a state-sponsored lottery. The six states that don’t are Alabama, Alaska, Hawaii, Mississippi, Utah, and Nevada. The absence of a state-sponsored lottery is likely due to religious concerns and the fact that these states already have a gambling monopoly in place and don’t need a competing entity to compete for their revenues.
~~~
Computed, not measured: a relaxed structure of TlTc2Te at the PBE level of DFT.

Cell and atoms, written as POSCAR:
```
TlTc2Te
1.0
8.3145 0.0000 0.0000
0.0000 3.2042 0.0000
-1.2862 0.0000 5.7983
Tl Tc Te
2 4 2
direct
0.0000 0.0000 0.0000 Tl
0.5000 0.5000 0.0000 Tl
0.2485 0.0000 0.7064 Tc
0.2515 0.5000 0.2936 Tc
0.7485 0.5000 0.7064 Tc
0.7515 0.0000 0.2936 Tc
0.0000 0.5000 0.5000 Te
0.5000 0.0000 0.5000 Te
```

Properties
E above lowest polymorph: 247 meV per atom
SG: C2/m
Formation energy from raw total energies: 0.570 eV/atom

***

Computed, not measured: a relaxed structure of TmGa4OsRh2 at the PBE level of DFT.

Cell and atoms, written as POSCAR:
```
TmGa4OsRh2
1.0
2.1187 1.2232 8.4354
-2.1187 1.2232 8.4354
0.0000 -2.4464 8.4354
Tm Ga Os Rh
1 4 1 2
direct
0.0000 0.0000 0.0000 Tm
0.1317 0.1317 0.1317 Ga
0.3977 0.3977 0.3977 Ga
0.6023 0.6023 0.6023 Ga
0.8683 0.8683 0.8683 Ga
0.5000 0.5000 0.5000 Os
0.2412 0.2412 0.2412 Rh
0.7588 0.7588 0.7588 Rh
```

Properties
E_form: -4.006 eV per formula unit
SG: R-3m

~~~~~

a | This record from Alexandria via LeMat-Bulk describes an optimized crystal structure of LiMg4Au. The functional is PBE.

Results
Magnetization ... 0.00 μB per atom
Volume ... 141.9 Å³/cell
SG ... P4/mmm, No. 123

Unit cell a=4.601 b=4.601 c=6.704 alpha=89.99 beta=90.01 gamma=90.00
Fractional coordinates of all 6 atoms:
Li: 0.001 0.998 0.498
Mg: 0.501 0.997 0.234
Mg: 0.501 0.997 0.762
Mg: 0.001 0.497 0.762
Mg: 0.001 0.497 0.234
Au: 0.501 0.497 0.998



b | This record from Alexandria via LeMat-Bulk describes an optimized crystal structure of LiMg4Au. The functional is PBE.

Results
Magnetization ... 0.00 μB per atom
Volume ... 126.8 Å³/cell
SG ... F-43m, No. 216

Unit cell a=5.639 b=5.639 c=5.639 alpha=60.00 beta=60.00 gamma=60.00
Fractional coordinates of all 6 atoms:
Li: 0.000 0.000 0.000
Mg: 0.873 0.376 0.376
Mg: 0.376 0.376 0.873
Mg: 0.376 0.873 0.376
Mg: 0.376 0.376 0.376
Au: 0.750 0.750 0.750



The data favor a; the next most stable structure lies 104 meV/atom above it.



a | This record from Alexandria via LeMat-Bulk describes an optimized crystal structure of Li4MgAu2. The functional is PBE.

Results
Magnetization ... 0.00 μB per atom
Volume ... 243.1 Å³/cell
SG ... P2_1/m, No. 11

Unit cell a=7.275 b=5.189 c=7.218 alpha=90.00 beta=116.85 gamma=90.00
Fractional coordinates of all 14 atoms:
Li: 0.560 0.500 0.212
Li: 0.062 0.750 0.862
Li: 0.938 0.250 0.138
Li: 0.560 0.000 0.212
Li: 0.085 0.250 0.553
Li: 0.440 0.000 0.788
Li: 0.440 0.500 0.788
Li: 0.915 0.750 0.447
Mg: 0.220 0.750 0.306
Mg: 0.780 0.250 0.694
Au: 0.792 0.750 0.042
Au: 0.208 0.250 0.958
Au: 0.362 0.250 0.418
Au: 0.638 0.750 0.582



b | This record from Alexandria via LeMat-Bulk describes an optimized crystal structure of Li4MgAu2. The functional is PBE.

Results
Magnetization ... 0.00 μB per atom
Volume ... 111.1 Å³/cell
SG ... Fmmm, No. 69

Unit cell a=5.290 b=5.290 c=6.470 alpha=127.72 beta=127.72 gamma=60.22
Fractional coordinates of all 7 atoms:
~~~
[Here the article continues]
Generally speaking, when choosing a winning combination of numbers, it’s best to choose ones that have not appeared too frequently in the past. This will increase your odds of avoiding a shared prize. Another important thing to remember is that no single number is luckier than any other. In fact, the chances of picking a number that has already won in the past are very low.
In addition to deciding what numbers to pick, players must decide how much to spend. Since state-sponsored lotteries are run like businesses, they must focus on maximizing revenues. This is done through advertising, limiting prize sizes, and by increasing the frequency of drawings. The result is a complex system that operates at cross-purposes with the general public interest. In addition, the fact that the system relies on gambling raises questions about whether it is appropriate for a public corporation to promote gambling.